Wednesday, February 24, 2010

If you were stuck on a deserted island....

wouldn't it make life so much more fun? We have lived in our home for 3 1/2 years. This was not our plan. :) We committed to 2 - 3 years upon moving in. After being here for "sooooo long", we are actually falling in love with it. For the first time. Ever. We have never loved a home since we've been married. Maybe it's because our first apartment was only for 7 months. Or maybe because our first home was only for 1 year. And, ironically, this is not the easiest home to live in. We have, according to my husband, "3 blades of grass to our name". It's what the rest of the world would consider a townhouse. We also only have 3 bedrooms. With a family of 5, this causes some problems when four relatives and 3 dogs come to stay for days at a time. Maybe not problems. Just room for creativeness. :) We also have to pay a very hefty amount of $$$ every month that goes towards trash removal, snow removal, mowing, and general up-keep of the playground and common areas. We love love LOVE to entertain, but have no where to put 10 extras vehicles. So, needless to say, there are "issues" with this house. Our two major complaints about living here were: lack of seating in the kitchen/family room, and lack of counter space. Well, thanks to a mother who guts one of her kitchens and lets us haul away her old kitchen island, one of those problems are solved! We have had this "builders grade" kitchen island in our garage for years. It served as an extra work bench for my hubby (because, apparently, the garage is "his" space) as well as storing lots of tools and cans of paint underneath. I came up with the oh-so-brilliant idea of carrying it upstairs, refinishing it, and using it in our kitchen. He was less than thrilled. But seeing as how I'm pretty good at sales, I talked him into it. I am just in love with islands! Ta-da!!!
We painted it the same color as our kitchen cabinets. Then the hubby applied his professional chocolate brown "glaze" (not really. it's just brown paint wiped on/wiped off with an old cut up t-shirt). We also (ha. who am I kidding) installed the new hardware on the drawers and cabinets. Oh look, there's that great craigslist find, again. :) It's not staying there, by the way. I just happened to find a random nail on the wall and hung it up to see how it looked. I would never EVER hang something so haphazardly. :)
Another good use for islands: It sends a much needed "stay out of my way while I'm cooking for you" statement.
Thanks, mom, for giving us the island. Thanks, babe, for helping me to carry it up a full flight of steps, painting the glaze, and installing the hardware. The counter top obviously does not match. It's also pretty scratched up because of the use it got in the garage. The next step will be to just order a new formica slab from Lowes that matches the rest of the kitchen. Now I'm off for a third attempt at becoming friends with my sewing machine. :)


  1. I LOVE IT! Way to go Seth...looks gorgeous! :)

    Megan, you so need to come yard saling with me this have no idea what you're missing...if you like to make your house super cute on a budget, it's the way to go. And we only shop the best neighborhoods. hehe ;)

[Calculated crystals, as found in the file]
No. 1
AlMoPdPb2 (GGA-PBE, relaxed); calculated volume = 135 Å³ per cell; total moment = 0.79 μB per atom; crystal system = tetragonal; symmetry = P4/mmm, No. 123; energy of formation = 19.6 kcal/mol of atoms
1.0
-3.491 -4.020 0.639
3.515 -2.849 1.280
-0.707 1.427 5.121
Pb Mo Al Pd
2 1 1 1
Direct
0.000 0.000 0.500
0.500 0.000 0.000
0.500 0.500 0.500
0.000 0.500 0.000
0.000 0.000 0.000



No. 2
La6PmPrTh2 (GGA-PBE, relaxed); calculated volume = 718 Å³ per cell; total moment = 0.00 μB per atom; crystal system = monoclinic; symmetry = C2/c, No. 15; energy of formation = 3.0 kcal/mol of atoms
1.0
10.050 -2.678 -2.779
0.519 8.582 -1.976
0.519 -2.293 8.503
La Pm Pr Th
12 2 2 4
Direct
0.043 0.104 0.741
0.457 0.259 0.896
0.957 0.896 0.259
0.543 0.741 0.104
0.332 0.988 0.439
0.168 0.561 0.012
0.668 0.012 0.561
0.832 0.439 0.988
0.117 0.687 0.491
0.383 0.509 0.313
0.883 0.313 0.509
0.617 0.491 0.687
0.250 0.402 0.598
0.750 0.598 0.402
0.250 0.991 0.009
0.750 0.009 0.991
0.456 0.820 0.737
0.044 0.263 0.180
0.544 0.180 0.263
0.956 0.737 0.820



What did the second record say?
La6PmPrTh2 (GGA-PBE, relaxed); calculated volume = 718 Å³ per cell; total moment = 0.00 μB per atom; crystal system = monoclinic; symmetry = C2/c, No. 15; energy of formation = 3.0 kcal/mol of atoms
1.0
10.050 -2.678 -2.779
0.519 8.582 -1.976
0.519 -2.293 8.503
La Pm Pr Th
12 2 2 4
Direct
0.043 0.104 0.741
0.457 0.259 0.896
0.957 0.896 0.259
0.543 0.741 0.104
0.332 0.988 0.439
0.168 0.561 0.012
0.668 0.012 0.561
0.832 0.439 0.988
0.117 0.687 0.491
0.383 0.509 0.313
0.883 0.313 0.509
0.617 0.491 0.687
0.250 0.402 0.598
0.750 0.598 0.402
0.250 0.991 0.009
0.750 0.009 0.991
0.456 0.820 0.737
0.044 0.263 0.180
0.544 0.180 0.263
0.956 0.737 0.820



Question: Which of these has the lowest calculated volume?
Answer: AlMoPdPb2



What did the second record say?
La6PmPrTh2 (GGA-PBE, relaxed); calculated volume = 718 Å³ per cell; total moment = 0.00 μB per atom; crystal system = monoclinic; symmetry = C2/c, No. 15; energy of formation = 3.0 kcal/mol of atoms
1.0
10.050 -2.678 -2.779
0.519 8.582 -1.976
0.519 -2.293 8.503
La Pm Pr Th
12 2 2 4
Direct
0.043 0.104 0.741
0.457 0.259 0.896
0.957 0.896 0.259
0.543 0.741 0.104
0.332 0.988 0.439
0.168 0.561 0.012
0.668 0.012 0.561
0.832 0.439 0.988
0.117 0.687 0.491
0.383 0.509 0.313
0.883 0.313 0.509
0.617 0.491 0.687
0.250 0.402 0.598
0.750 0.598 0.402
0.250 0.991 0.009
0.750 0.009 0.991
0.456 0.820 0.737
0.044 0.263 0.180
0.544 0.180 0.263
0.956 0.737 0.820



Question: Look up the energy of formation of the second one.
Answer: 3.0 kcal/mol of atoms

  2. I've thought the same thing about yard sales! I did not grow up with a "yard sale mom", so I am not a yard sale mom. But I think this may be my year to start! :)
